
After moving into my new home, I've been wanting to see if I could capture and track power data from my solar inverter into a dashboard with cool graphs.

The solar inverter that came with the house is a Delta Solivia 5.0 APG3 (EOE46010301). When I first looked at the bottom I saw the "RS485" ports and got excited at the idea of integrating it into my smart home.

My solar inverter Delta Solivia

My solar inverter Delta Solivia

The goal

My main goal is I want to see cool graphs about the solar panels, because I am a big nerd. Graphs like these ones.

Home Assistant power usage graphs

My 2nd goal is that I want to be able to track the performance of the solar panels.

  • Notice solar panels dying or dropping in performance.
  • Show how much the solar power improves after cleaning the panels.

Off-the-shelf solutions

There are some solutions proided by Delta themselves.

Delta Service Software (DSS)

Attached: calculated molecules:
~~~
Density functional theory data (the ωB97M-V functional and the def2-TZVPD basis) for a 7-piece molecular cluster, C37H94N6O overall at a distorted geometry.

The calculation puts the frontier orbital gap at 0.3135 Eh. Its HOMO energy is -8.139 eV. The calculation puts the energy relative to the best compared isomer or geometry (same formula, charge and spin) at 0.447 eV. Its SMILES is CCN(CC)CC.CCN(CC)CC.CCN(CC)CC.CCN(CC)CC.CCN(CC)CC.CCN(CC)CC.CO. Its electronic energy is -1869.72251 Eh. Its net charge is 0.

The geometry in XYZ format:
```
138
Properties=species:S:1:pos:R:3:mulliken_charge:R:1
O 16.7045 -21.1314 -12.9509 -0.499
N 9.4383 -17.7593 -8.4129 -0.105
N 19.5978 -26.6191 -17.3319 0.072
N 25.1955 -18.4439 -12.8978 0.001
N 23.8017 -20.7844 -19.9020 0.116
N 16.9005 -21.2887 -8.8054 0.339
N 11.2188 -18.6836 -17.3521 -0.021
C 17.5847 -22.6056 -8.7044 -0.820
C 11.7613 -19.4415 -19.6904 -1.358
C 25.0465 -16.0245 -13.6268 -0.977
C 21.9259 -19.7826 -18.5639 -1.316
C 26.1086 -18.9290 -13.9353 -0.467
C 19.8007 -25.5565 -18.3453 -0.301
C 17.6773 -20.2548 -8.0893 -0.459
C 9.7205 -19.2239 -8.2422 -0.205
C 18.8175 -28.9518 -16.7983 -1.277
C 11.4684 -18.9689 -15.9113 -0.261
C 23.4098 -20.1348 -18.6802 -0.317
C 16.6548 -19.8966 -13.6004 -0.490
C 14.5409 -22.1848 -9.3171 -1.367
C 25.0553 -21.5326 -19.8059 -0.465
C 22.8540 -18.4356 -11.9879 -1.458
C 11.5260 -17.2652 -17.6284 -0.405
C 23.7773 -19.9472 -21.1199 -0.656
C 10.7530 -17.0667 -8.4720 -0.284
C 25.2015 -22.5424 -20.9525 -1.238
C 9.0864 -17.2579 -5.9192 -0.969
C 25.3992 -17.0090 -12.5628 -0.799
C 12.0521 -19.5559 -18.1431 -0.393
C 17.3424 -18.8495 -8.5104 -1.293
C 19.1198 -26.0243 -16.0769 -0.331
C 10.8507 -20.3532 -15.5134 -1.387
C 18.7098 -27.7034 -17.7299 -0.520
C 24.9406 -18.9225 -21.1262 -0.968
C 20.5511 -26.0661 -19.5960 -1.390
C 8.4985 -17.1885 -7.3724 -0.701
C 8.4771 -20.1079 -8.1514 -1.513
C 11.5176 -17.3595 -9.7919 -1.379
C 10.4357 -16.3610 -17.0551 -1.300
C 23.8218 -18.8222 -13.1235 -0.242
C 20.1612 -25.2001 -15.3335 -1.312
C 17.3638 -23.3898 -7.4018 -1.070
C 15.4669 -21.3483 -8.4564 -0.408
C 26.3322 -20.4562 -14.0132 -1.238
H 18.2673 -28.8513 -15.8627 0.306
H 19.7227 -24.8780 -14.3890 0.405
H 20.5182 -24.3581 -15.9265 0.296
H 15.3458 -21.5776 -7.3977 0.381
H 8.2849 -17.0070 -5.2244 0.374
H 9.9001 -20.5385 -16.0134 0.344
H 9.9547 -16.6025 -5.8530 0.284
H 25.7075 -18.6435 -14.9078 0.317
H 27.0946 -18.4851 -13.7972 0.382
H 18.4721 -29.8744 -17.2648 0.424
H 16.6271 -21.0132 -12.0014 0.292
H 12.2113 -18.5492 -20.1257 0.329
H 10.9428 -17.1208 -10.6867 0.345
H 18.7243 -20.3247 -8.3843 0.347
H 26.9195 -20.8055 -13.1640 0.325
H 21.7259 -18.9647 -19.2561 0.312
H 17.5651 -20.4430 -7.0216 0.328
H 23.7963 -20.4990 -22.0597 0.323
H 18.9032 -28.0922 -18.7297 0.345
H 21.8826 -18.9003 -12.1569 0.428
H 10.2328 -19.5690 -9.1403 0.353
H 17.7852 -22.8450 -6.5570 0.274
H 17.4515 -18.7629 -9.5915 0.260
H 10.6904 -19.3830 -19.8849 0.345
H 11.9076 -18.3658 -9.9448 0.263
H 15.9757 -19.2446 -13.0510 0.231
~~~

Delta have some Windows PC software that will let your computer talk to an inverter with a focus on maintenance (diagnosis, firmware updating, etc).

Delta Service Software screenshot

I wasn't able to test this approach because it required a login for the Delta EMEA Partner Portal.

Also, I don't want to have a full-on Windows machine just to pull data from the inverter. I'm thinking smaller and less power-hungry.

Delta Solivia Gateway

Delta do make a solution for connecting to Delta Solivia inverters over wifi.

Guide on using the Delta Gateway to monitor inverters.

Delta Gateway

Delta Gateway connection diagram

However, the Solivia Gateway comes with a couple of problems that I'm not happy with.

  • Is not sold anymore.
  • It relies on an external website and provider, I want everything to be local to my own network.
  • Focus appears to be on business-to-customer usage, instead of the customer using it on their own devices.
  • The external website is in German by default.

Here are some screenshots.
Delta Gateway screenshot
Delta Gateway screenshot
Delta Gateway screenshot

Building my own

I'm not happy with the existing solutions available, so I'm going to try building my own.

Ideally, I'd like to use a wifi controller of some kind to talk to the inverter, and then push data back to Home Assistant over MQTT messages. From there, Home Assistant can do the dashboards and cool graphs.

My plan diagram


I found a number of really good sources of information.

Fantastic discussion on the Whirlpool forums where people wanted to pull data from their inverters. This thread is amazing, I wouldn't have been able to get this far without it.

Public RS485 Protocol 1V2. Solivia RS485 protocol guide. Another fantastic resource that I could not have done without.
Public RS485 Protocol 1V2 - download RS485 Protocol 1V2.pdf

Discussion on the Home Assistant community, someone wanted to pull data from a Delta Solivia gateway (not the inverter itself). Still some good info there.

A blog post from a Dutch author about creating a Python program on a mini Linux stick that plugs into their inverter. Has a lot of good technical detail in it.

Manual for Delta Solivia 5.0 AP G3 Solar Inverter.

Delta Service Software to talk to your inverter from your PC.

Blog article about using an ESP8266 to get data from a Delta inverter. ESP code is very old, but still some interesting information.

Existing projects

A quick shout out to projects that have already had a go at pulling data from a Delta Solivia inverter. I didn't end up using them because their either were Python-only (won't work on a microcontroller) or didn't work with my inverter.

delta-rpi. What I based most of my work on. Only works for RPI inverters.

DeltaPVOutput. The first project, seems to be what a lot of the other GitHub projects are based on.

soliviamonitor. Didn't work for me, version of python was too old and installing python 2.7 still didn't make it work.

solivia_esphome. Custom UART sensor for ESPHome.

Understanding the Delta Solivia connection

The connection to the Delta Solivia inverter is an RS485 serial connection. It uses an Ethernet RJ45 connector, but only uses 3 pins: Ground, TX_A, and RX_B.

The default baud rate is 19200, but check your inverter's configuration in case the baud rate has been changed.

Delta inverter RS485 wiring

Some quick RS485 facts:

  • Usually at a higher voltage e.g. 12v.
  • Uses serial communication, typically in bytes (0-255).
  • Doesn't have "transmit" and "receive" lines, the 2 lines go opposite each other. This greatly reduces noise on the connection and allows RS485 to cover great distances in electrically noisy environments.

RS485 transmission voltages
(RS485 voltages during transmission, from

RS485 has no flow control, which means that devices both send and receive over the same wire and a collision will occur if things are 2 things are sending at the same time over the connection. CRC integrity checks are important when using RS485 to ensure that something wasn't messed up due to a collision.

Here is the overall protocol layout Delta inverters.

  • Addresses are between 1 and 254
  • The checksum is a CRC16 checksum. How to do CRC checks in Arduino, ESP8266, and other chips
  • The slave answer with NAK only if the command or subcommand is invalid.
  • The slave answer to a valid writing command with the ACK frame and the data value is the internal slave data. If the slave receives a value out of the internal limits it will ignore the received data and set the internal value according to the allowed limits.

Protocol characters

Character ASCII (hex) Code Description
STX 0x02 Message start
ETX 0x03 Message end
ENQ 0x05 Link request (Master only)
ACK 0x06 Slave accepting link (Slave only)
NAK 0x15 Slave not accepting link / error / invalid request (Slave only)

Master to slave

Byte# Data byte Description
1 'STX' Start of protocol
2 'ENQ' Master sending a request
3 address Address of target device
4 # of bytes Number of bytes incl. data, cmd, and subcmd
5 command Command to send to slave
6 sub command Sub command to send to slave
N data N bytes of data
N+1 CRC low byte Low byte of checksum
N+2 CRC high byte High bytes of checksum
N+3 'EXT' End of protocol

Slave response with acknowledge to master

Byte# Data byte Description
1 'STX' Start of protocol
2 'ACK' Slave acknowledging
3 address Address of slave device
4 # of bytes Number of bytes incl. data, cmd, and subcmd
5 command Repeat of command
6 sub command Repeat of sub command
N data N bytes of data
N+1 CRC low byte Low byte of checksum
N+2 CRC high byte High bytes of checksum
N+3 'EXT' End of protocol

Slave response with no acknowledge to master
Eg. There was an error.

Byte# Data byte Description
1 'STX' Start of protocol
2 'NAK' Slave acknowledging
3 address Address of slave device
4 # of bytes Number of bytes, should always be 2 for NAK (no data)
5 command Repeat of command
6 sub command Repeat of sub command
7 CRC low byte Low byte of checksum
8 CRC high byte High bytes of checksum
9 'EXT' End of protocol

Here's some useful commands:

CMD S-CMD Description
0x00 0x00 Identify inverter incl. variant number
0x00 0x40 Get software version. Response is inverter-specific, depends on variant
0x60 0x01 Get measurement and statistic data
0x60 0x20 Get configuration and setup data

My prototype

I understood the theory, so I whacked together a prototype to see if I could do it. I used:

  • a Raspberry Pi 3 B+
  • a cheap USB RS485 adapter
  • a short ethernet cable with one end cut off

I cut the head off a short Cat-5 ethernet cable and stripped a little insulation off the wires. My network cable was Type-A and I connected the ethernet wires to the RS485 adapter this way:
GND - stripe blue
TX_A - stripe brown
RX_B - orange

USB RS485 wiring

RJ45 ethernet cable into the RS485 port

To prove that it worked, I was using the delta-rpi GitHub project to try and talk to my inverter.

usage: [-h] [-a ADDRESS] [-d DEVICE] [-b BAUDRATE]
                                      [-t TIMEOUT] [--debug]

_The piece is interrupted by records of molecules_
/*
1.
2 unconnected molecules or ions with the total composition C11H26Br2N2O2P in a non-equilibrium geometry, computed with ωB97M-V with the def2-TZVPD basis set.

Summary:
F_max = 2.0 eV/Å
Kohn-Sham gap = 0.231 Ha
HOMO energy = -3.653 eV
Electronic energy = -6184.0222 Eh

The geometry in ORCA input format:
```
! wB97M-V def2-TZVPD RIJCOSX def2/J DEFGRID3
* xyz -1 1
Br 3.10 2.19 -1.87
Br 3.29 5.27 0.16
P 0.16 -0.62 -0.31
O -1.67 -3.08 0.45
O -3.34 -4.07 -0.67
N -1.55 2.17 -1.96
N 2.41 -0.94 3.24
C 0.49 -2.50 -0.59
C -0.14 1.33 -0.21
C -1.44 1.60 -0.83
C -0.78 -3.38 -0.64
C 3.62 5.00 -1.74
C -2.71 1.20 -0.08
C 1.28 -0.89 2.29
C -3.84 -3.11 1.41
C -2.91 -3.47 0.27
C 1.70 -0.47 0.88
C 2.65 4.02 -2.34
H -0.45 -4.41 -0.52
H -1.01 -0.73 -1.20
H 0.77 -1.86 2.25
H -2.54 2.24 -2.19
H -2.48 0.61 0.81
H 2.70 4.05 -3.42
H 0.66 1.86 -0.72
H 2.04 0.57 0.97
H -3.28 2.07 0.25
H 2.52 -1.12 0.57
H -4.11 -4.01 1.96
H 2.69 0.01 3.45
H -4.72 -2.62 1.02
H -1.23 -3.24 -1.62
H 1.23 -2.93 0.09
H 3.49 5.99 -2.19
H 0.92 -2.58 -1.60
H -0.65 -0.85 0.87
H 1.62 4.18 -2.02
H -0.20 1.59 0.86
H -3.33 -2.45 2.12
H -3.36 0.59 -0.70
H 2.14 -1.36 4.12
H 0.52 -0.20 2.68
H 1.06 -0.33 -1.45
H 4.65 4.69 -1.84
*
```

***

2.
A molecular structure, C11H26ClHfN7O14 in a non-equilibrium geometry, computed with ωB97M-V with the def2-TZVPD basis set.

Summary:
F_max = 7.2 eV/Å
Energy above the lowest of the compared OMol25 structures with the same formula, charge and spin = 0.0 kcal per mole
Kohn-Sham gap = 0.044 Ha
HOMO energy = -18.612 eV
Electronic energy = -2376.9782 Eh

The geometry in ORCA input format:
```
! wB97M-V def2-TZVPD RIJCOSX def2/J DEFGRID3
* xyz 4 1
Hf 0.64 -10.99 -15.39
Cl -0.14 -14.81 -15.88
O 5.78 -15.87 -15.06
O 0.88 -15.47 -16.64
O 4.01 -13.17 -19.99
O -0.06 -15.21 -14.52
O -0.68 -11.23 -17.38
O -1.45 -20.43 -16.23
O 4.51 -15.14 -20.56
O 0.20 -13.34 -15.90
O -1.46 -11.99 -11.72
O -1.40 -14.98 -16.51
O 5.16 -17.27 -13.60
O -0.15 -12.23 -13.39
O -2.19 -12.48 -18.26
O 0.65 -20.77 -16.07
N -6.21 -19.67 -16.50
N -6.44 -21.45 -15.25
N 4.13 -14.35 -19.73
N -1.36 -11.68 -18.37
N -0.55 -12.52 -12.22
N 5.00 -16.69 -14.65
N -0.30 -20.03 -16.15
C 0.02 -18.57 -16.16
C -5.59 -18.43 -17.01
C 3.72 -14.84 -18.42
C -6.05 -22.51 -14.28
C 3.85 -17.12 -15.46
C -7.08 -20.48 -17.12
C 0.30 -13.43 -11.40
C -4.19 -18.62 -17.56
C -7.26 -21.60 -16.31
C -0.91 -11.23 -19.74
C -5.79 -20.29 -15.38
H -6.84 -23.26 -14.28
H -0.52 -18.21 -17.03
H 1.08 -18.38 -16.24
H 4.51 -14.74 -17.67
H -5.54 -17.75 -16.14
H 0.02 -10.69 -19.63
H -4.15 -19.10 -18.53
H -5.05 -19.93 -14.68
H -1.67 -10.59 -20.18
H -6.28 -17.92 -17.68
H 3.43 -15.89 -18.47
H 3.78 -18.21 -15.43
H 2.85 -14.32 -18.03
H 2.96 -16.65 -15.04
H 0.44 -14.32 -12.00
H -0.20 -13.58 -10.45
H -6.03 -22.09 -13.28
H -5.12 -22.93 -14.64
H 4.04 -16.93 -16.51
H -3.64 -17.68 -17.60
H -7.51 -20.25 -18.09
H -0.37 -18.05 -15.28
H -7.73 -22.52 -16.62
H -3.61 -19.27 -16.90
H -0.71 -12.14 -20.28
H 1.24 -12.92 -11.19
*
```

***

3.
*/
_End of the records of molecules_

$ python3 ./ --debug -d /dev/ttyUSB0 -b 19200 -a 1 master

I ran into an issue where I kept getting the error struct.error: unpack requires a buffer of 158 bytes but I fixed that (below).

It works! I can pull stats and data from the inverter!

SAP part number                                b'EOE46010301'
SAP serial number                        b'220301081423017703'
SAP data code                                     b'31343233'
SAP revision                                          b'3038'
Software revision ac control                            01.00 MA,MI
Software revision dc control                            01.00 MA,MI
Software revision display                               01.00 MA,MI
Software revision ens control                           01.00 MA,MI
Solar current at input 1                                 56.0 A
Solar voltage at input 1                                  240 V
Solar isolation resistance at input 1                   10000 kOhm
Solar current at input 2                                 72.0 A
Solar voltage at input 2                                  241 V
Solar isolation resistance at input 2                   10000 kOhm
AC current                                              116.0 A
AC voltage                                                246 V
AC power                                                 2824 W
AC frequency                                           5009.0 kOhm

Issue - struct.error: unpack requires a buffer of … bytes

While trying to use delta-rpi, I kept running into this error:

struct.error: unpack requires a buffer of 158 bytes

I could see that messages were being sent to and from the inverter, what was wrong?

The answer was that the Python function struct.unpack required the exact number of bytes specified, and more than 158 bytes of data was being sent by my inverter.

The cause was a revelation: the "Measurement and statistics" payload structure is different between each model. delta-rpi was written for an RPI series inverter, not my Solivia 5.0 APG3 inverter. The response payload was different.

The "measurement and statistics" payload was different depending on the "variant" of the inverter. The response for the "identify yourself" request cmd 0x00 subcmd 0x00 was:

Raw: 223f536f6c69766961352e3041502d4733002c
String: "?Solivia5.0AP-G3\x00,
(yes, with a comma at the end, I don't know what that means)

I don't fully understand the response structure, but I do know:

Byte # Data Description
1 34 (0x22) variant number (not exact)
2 63 (0x3F) variant number (more accurate)
3+ Solivia5.0AP-G3 Model name as a string, null-terminated
-1 , (0x2C) ???

I got it working after I found the data structure for the "Measurement and Statistics" payload in the "Public RS485 Protocol 1V2.pdf" doc and rewrote that part of the python script to match.

Variant lookup

Now it works like a charm. Yea boi!

What's next?

Up next is to make something on an wifi microcontroller (ESP8266) and integrate it with my smart home controller Home Assistant. Bonus points if I can get the wifi microcontroller to host a basic web page where I can see information about the inverter, maybe even control it a little.